Tuesday, December 22, 2009

Christmas..Check your lists, and do some reflecting

I love Christmas,
One might wonder why,because
as a child besides the gifts and wonder ,it also brought enough pain to nearly overshadowed the joy of Christmas.
I vowed to myself it and other things would be different for my kids.
I didn't know,then, how much grown up "stuff" could get in the way.
Work,pain,interpersonal relationships,family adjustments , personal "growing up"struggles , financial "grief" (out of work ,no money),disappointments( deeds and words from others seemingly bent on destroying any joy you have, in even simple things..words sure can cause deep wounds can't they?)

Then there are the ghosts (memories) of Christmas past( I grew up in a heaven/hell home environment. My mom loved and served God, my Dad was at war with God .
Dad both loved and hated Christmas (and Christians,even his own kids) sadly my dad 'celebrated" it with way too much alcohol.
Dad ,most often ,was a violent abusive drunk.

Like water seeping into a"wounded" boat hull , these "ghosts" can sink and destroy you ,if you don't keep bailing , make temporary repairs or do like I did, and get a whole "new" boat(below)

MAN overboard...that's how one can feel during what should be the most joyous time of the year...forgetting that even the Angels sang for the birth of Jesus.

If you feel overloaded,pressurized,depressed,scroogie (hey ,all the pressure of commercialization alone, to 'get" us to buy,shop,give ,donate,can overwhelm one if you let it)

Then there is the prep time: cleaning (why did our kids and now our dogs get sick AFTER,a newly cleaned carpet?) cooking, wrapping, stuffing, decorating( just finding the stashed "stuff"to decorate,can be frustrating)

I remember one year when our kids were still in grade school, I was headed towards a
KISS Christmas( otherwise called: keep it simple stupid, or perhaps STOP the "insanity". a KISS approach to anything ,if you're not careful can quickly be like throwing the baby out with the bath water, before you know it ,at Christmas time ,you become what else... scroogie..

Better watch out scroogie I "am " headed your way.
I was tired, plus I was in the "gopher" stage (you know this stage I bet)
either your kids or your friends are involved in this program, that play etc and who is the main "go-for it" and do for them? You got it, MOM or good friend... YOU...
That year it was ME.. as I was desperately trying to be the Christmas"hostess twinkie" mom in her "spare" time" .
( the Hostess twinkie mom ,does it all perfectly ,everyone smiles and adores her.

A good movie example ,depicting...we are all "happy",working together...find and watch lilies of the field starring Sydney Poitier )
There I was TaDa: the greatest twinkie mom failure ,or so it seemed to me at the time,nothing was going perfectly, just where were those smiles? and it felt as if every one didn't adore me.

I was discouraged ,especially with all of the to do's, the expectations( both a good share of which happened to be my own): our kids wish lists were long and money was L-O-N-G "gone"

Plus I was overwhelmed with all of the commercials squeezed between the Christmas specials the family loves to watch . M-O-O-M.."hey I WANT that" or "guess what schoolmate so and so " is getting or already "got"...UGH!

Something happened, in the twinkling of an eye...no not a "quiet" in the house mouse, umm was "it"an accident?
No, it was a simple holiday movie starring Jimmy Stuart that "happened" to come on .

The movie ,It's a wonderful life, inspired me at a time I was struggling with great pains, emotionally and physically.
I felt as if my life really didn't matter,(little do we know, right? )

Next happening to clinch the "deal".. a ladies Christmas tea ...
yep, one more "go-for""thing & place . I could barely drag myself there,
I debated on not going.
I am so glad I went. The visiting missionary shared how they celebrated Jesus's
birthday BIG time...they went all out,because our God is special.

Then I remembered WHY I loved and celebrated Christmas .
I am ever so thankful for someone so special and wonderful who came into my life ,year earlier, with a precious gift:

At nine years of age I met Him, Jesus . I wanted to live for Him because He died for me.
I remembered ,Jesus had paid a humongous price for the worlds first Christmas GIFT,
a King's ransom, in fact.

But He gave His own life, not just for the world , perhaps more importantly I remembered this expensive gift was "just"for ME too.
(to really receive a gift one must accept,"open" and use it,by the way)

I accepted this rich gift of John 3:16 and "opened" my gift (Romans 10:9&10).
I also chose to follow in Jesus's footsteps as well as other heros who chose to do so :
Ruth, Ester, David, Joshua and Caleb (Joshua 24:15, is one of my life 'threads") .

Even as a young girl I chose then, come what may, I would follow.
Sometimes I felt like I was eating those heart words, but thankfully was reminded ,when I need reminded most, I am in THE race and on the Winning TEAM , with a host of "folk" cheering me on.

They are there, even when I stumble ,trip , fall or even during those times I have been "shoved" down into a pit (on purpose by someone who hates me. I am in good company though,because he hates God and especially Jesus too) .
Nearly all of my hero's are listed in what is fondly called by those who know about it,the "hall of fame: (Read Hebrews 11 in a King James or new King James version of the Bible for the most accurate translation)

Christmas is also now my time to reflect and my time to think about the coming New Year..
what would I do differently,what did I miss, forget, wish I could do over.. I start getting my "list" ready for my New Years appraisal and revision.
Thus ,I am keeping my list and checking it twice, not just for Christmas but for each coming
New year too.
You "got" this post today because...as I was checking my list for what I need to do and make during the remaining days before Christmas.. what do you know ,an elderly dog I am babysitting, while the owner is away for Christmas, just became incontinent..did I "need" that?

This dog is so sweet , and he was very embarrassed so I "simply" added to my to do list.

I chose to take the time and take him with me to "visit" our wonderful vet, and design and make him a doggie diaper. NOW he feels better and I can ,with Joy, get back to my list.

To compensate for the time 'crunch" this extra to do created on my list, I'll cross off a few things that really don't matter.
A few of those those extra "hostess twinkie" mom 'things' .
I love this dog ,even though he isn't mine ,and he needed my help.

I am remembering ..the perfect gift is love , love gives where it is needed.

Stop , look and listen... where is love really needed around you?
Your loved ones, the neighbor, the helpless, the lonely, perhaps the hungry birds outside, or a sad, embarrassed faithful ,man best friend ,even if his heart belongs to someone else.

(another great movie to watch is the gift of Love starring Marie Osmond)

May you enjoy a very special and blessed Christmas.

Thursday, December 17, 2009

Christmas road trips? Dangers in your "good" tires exposed

Please watch this short video about the hidden life threatening dangers that are possibly lurking in your "good" tread tires. This could save your life or the lives of those you love.

I plan to crawl under our car as soon as it is light enough outside and see if I can decipher how old my car tires are..or maybe I'll let my guy do that , since I'm not using the car today :-)


here is a link for Canada's standards, I've not watched this one yet

Have a blessed Christ-mas

Thursday, December 3, 2009

2010...if not why not..what is holding you back?

TIME OUT.... take a little "time out" for yourself that is....

If at all possible plan for a night at the beach or someplace where you can be "free"
Free to just be you...and time to rediscover what your true passion is...did you lose it?

**Calculated molecules from another source follow:**
=====
[1]
# C28H60N6O18S

A cluster of 7 separate species, C28H60N6O18S in total (ωB97M-V/def2-TZVPD, the Open Molecules 2025 dataset).

Last column: Mulliken charge in e.
Atoms and positions in Å:
C  4.055701  -2.065520  2.672028  -0.833
C  4.618196  -1.056800  1.656778  -0.238
C  3.642397  -0.635313  0.554836  -0.849
C  3.449841  -1.598734  -0.618556  -0.654
C  3.178069  -3.061479  -0.260928  0.536
C  2.511468  -3.808011  -1.427241  -1.293
C  0.972579  -3.750632  -1.426468  0.137
C  0.290569  -4.824031  -0.562091  -0.950
C  0.116358  -4.503483  0.945469  -0.399
C  -1.337365  -4.250298  1.371253  -1.300
C  -1.944318  -2.955071  0.772898  0.489
C  -3.344709  -3.177304  0.191074  -0.982
C  -4.101307  -1.906946  -0.205324  -0.537
C  -4.166653  -0.847330  0.901282  -0.081
C  -5.157842  0.259348  0.550714  -0.719
C  -5.196155  1.458250  1.520679  -0.958
C  -3.864702  1.943533  2.092033  -1.082
C  -2.915234  2.664632  1.112165  -0.060
O  -3.488455  2.765730  -0.216450  -0.265
S  -2.594013  2.504251  -1.511317  0.218
O  -2.129453  1.127337  -1.483013  -0.254
O  -1.295122  3.435804  -1.070380  -0.237
C  -0.085105  3.060755  -1.752092  -0.190
C  0.900378  4.219740  -1.829963  0.204
O  1.743256  4.221052  -2.675079  -0.489
O  0.757707  5.259008  -0.944815  -0.247
C  1.399951  5.085375  0.309933  0.436
C  0.471184  4.744528  1.416832  0.036
O  2.572673  5.256293  0.395591  -0.485
H  4.299497  -3.090931  2.379541  0.251
H  2.963248  -2.024338  2.705039  0.229
H  4.460198  -1.907226  3.671091  0.101
H  4.870742  -0.148779  2.215165  0.319
H  5.567440  -1.407136  1.241117  0.259
H  2.673004  -0.365362  0.989762  0.317
H  4.037103  0.293959  0.125652  0.328
H  4.295245  -1.552262  -1.311618  0.275
H  2.577096  -1.251717  -1.188579  0.267
H  4.109227  -3.577290  0.000652  0.375
H  2.550837  -3.111057  0.628956  -0.394
H  2.860799  -3.368558  -2.368865  0.379
H  2.824338  -4.857263  -1.444418  0.449
H  0.640639  -3.896199  -2.455850  0.317
H  0.646735  -2.743692  -1.150267  -0.017
H  0.884480  -5.738859  -0.643459  0.490
H  -0.699905  -5.035748  -0.978112  0.405
H  0.704838  -3.637344  1.252664  -0.003
H  0.478031  -5.362323  1.522381  0.329
H  -1.344545  -4.130351  2.460071  0.406
H  -1.967945  -5.102701  1.106180  0.451
H  -1.957303  -2.171737  1.532272  0.317
H  -1.300873  -2.610147  -0.041494  -0.220
H  -3.230337  -3.824178  -0.685199  0.292
H  -3.931665  -3.734818  0.933676  0.380
H  -3.612773  -1.469578  -1.078592  0.012
H  -5.124261  -2.189418  -0.475699  0.400
H  -3.161012  -0.426397  1.009669  0.107
H  -4.422852  -1.313945  1.861358  0.394
H  -4.922663  0.622472  -0.452720  0.167
H  -6.158875  -0.183268  0.539757  0.461
H  -5.695805  2.288732  1.014954  0.330
H  -5.824585  1.182478  2.373149  0.449
H  -4.085639  2.657195  2.890040  0.438
H  -3.315916  1.122210  2.553294  0.359
H  -1.959980  2.145495  1.064016  0.245
H  -2.748222  3.685776  1.451875  0.421
H  0.382004  2.200390  -1.265714  0.318
H  -0.305669  2.806291  -2.791439  0.408
=====

Who are you? What do you really want?
Where will you be at this time next year IF you don't do what is needed?
What is needed? Bottom line it is ACTION....what action?

I just finished reading a book written by Dee Henderson.."Before I wake".
I was surprised with learning a NEW ? truth..
( I'd previously read this book some time ago,how did I miss this?.

I believe truths are like an onion sometimes.. some we learn layer by layer )
Personally I've made great strides in personal growth since Jan 2006...
It was the year I lost over 100 lbs(and 1st time ever in a lifelong weight 'battle"
I was able to maintain that loss..YAY)
I came out of homemaker mom"retirement"( our kids are all grown,so I was finally doing "stuff" previously denied...self stuff,like art etc...)
I successfully started a home based business,which creatively allowed some supportive type businesses to come "on board".
We began building our dream home...all such creates more "stuff'

As most of you know making great strides in any given area,especially concerning personal growth...there can be some considerable growing "pains" encountered.

Like me ,you might discover you are "stuck" in a given area.
why? why do "others" move on,grow,expand,do yada yada? you keep searching for something that you can't quite put your finger on...you are not dumb,you do work at "it' ,you are open, you do 'want". you "got" THE BIG dream...(like "they" tell you to have)
TIME OUT...what is going on deep inside?

While reading Blackstock's book (again) page 253...HIT me....
"I'm tired God, deeply tired inside where hope tries to live...."

Perhaps you are "stuck" because deep inside you are fearful "this" won't "work"
This "diet", business venture,program, procedure,relationship...

IF you continue,your subconscious is possibly the "one" who is getting in your way...
"thinking" for you. ALL the BETTER to "protect" you (my "dear")so "it" says...
so you won't "FAIL" and then become the victim when HOPE really dies !

**Molecular data from another source follow**
┌──
Entry 1:
{
  "formula": "C4H12",
  "method": "ωB97M-V/def2-TZVPD",
  "symbols": ["C", "C", "H", "H", "H", "H", "H", "H", "C", "C", "H", "H", "H", "H", "H", "H"],
  "xyz": [[-0.636, -1.457, -0.448], [0.386, -2.585, -0.873], [-0.485, -0.472, -0.829], [-1.549, -1.777, -1.090], [-0.986, -1.556, 0.632], [1.079, -2.669, -0.014], [0.849, -2.358, -1.795], [-0.131, -3.607, -1.006], [-0.368, 1.624, 0.948], [0.729, 2.519, 0.461], [-1.419, 1.812, 0.669], [-0.096, 0.681, 0.409], [-0.390, 1.422, 2.001], [0.581, 2.593, -0.704], [1.723, 2.295, 0.811], [0.714, 3.536, 0.828]],
  "nbo_charge": [-0.575, -0.606, 0.253, 0.358, 0.257, 0.269, 0.239, 0.288, -0.527, -0.617, 0.265, 0.307, 0.244, 0.246, 0.271, 0.327],
  "e_above_lowest_kj_mol": 82.95,
  "homo_lumo_gap_ha": [0.5113, 0.1572],
  "energy_ha": -159.1382,
  "spin_multiplicity": 2,
  "total_charge": 1,
  "largest_force_ev_per_a": 4.02,
  "e_homo_ev": [-16.8, -15.4],
  "lumo_ev": [-2.91, -11.09]
}



Entry 2:
{
  "formula": "C4H9NO2",
  "method": "ωB97M-V/def2-TZVPD",
  "symbols": ["C", "C", "C", "O", "C", "O", "N", "H", "H", "H", "H", "H", "H", "H", "H", "H"],
  "xyz": [[-1.767, 0.124, -0.507], [-0.458, 0.483, 0.188], [-0.176, -0.286, 1.478], [1.155, -0.603, 1.061], [0.940, -0.083, -0.264], [0.897, -1.057, -1.252], [1.996, 0.808, -0.635], [-2.600, 0.453, 0.126], [-1.897, 0.596, -1.484], [-1.903, -0.960, -0.627], [0.035, -1.488, -1.223], [-0.386, 1.567, 0.312], [-0.200, 0.274, 2.418], [-0.779, -1.197, 1.582], [2.571, 0.367, -1.350], [2.572, 1.002, 0.176]],
  "nbo_charge": [-0.620, -0.296, -0.067, -0.542, 0.647, -0.707, -0.853, 0.223, 0.224, 0.192, 0.475, 0.222, 0.180, 0.161, 0.381, 0.378],
  "e_above_lowest_kj_mol": 156.88,
  "homo_lumo_gap_ha": 0.3866,
  "energy_ha": -363.0258,
  "smiles": "C[C@H]1CO[C@@]1(N)O",
  "total_charge": 0,
  "largest_force_ev_per_a": 0.37,
  "e_homo_ev": -9.6,
  "lumo_ev": 0.88
}



Entry 3:
{
  "formula": "C7H7NO2S",
  "method": "ωB97M-V/def2-TZVPD",
  "symbols": ["C", "C", "C", "C", "C", "C", "C", "N", "O", "O", "S", "H", "H", "H", "H", "H", "H", "H"],
  "xyz": [[1.818, 1.456, -0.301], [-1.399, -0.173, -0.953], [-1.513, -1.220, -0.149], [-0.575, 0.533, 1.128], [0.838, 0.614, -0.820], [-0.540, 0.915, -0.341], [-0.583, -0.934, 1.052], [2.600, 2.077, 0.278], [2.290, -0.876, 0.879], [1.183, -1.991, -0.944], [1.119, -1.013, 0.067], [-1.965, -0.233, -1.904], [-2.025, -2.139, -0.260], [0.518, 0.979, 1.491], [-1.349, 1.191, 1.628], [0.938, 0.584, -1.978], [-0.859, 1.830, -0.785], [-0.496, -1.600, 1.914]],
  "nbo_charge": [0.250, -0.172, -0.197, -0.444, -0.573, -0.267, -0.402, -0.266, -0.909, -0.930, 2.116, 0.238, 0.234, 0.252, 0.262, 0.293, 0.247, 0.269],
  "e_above_lowest_kj_mol": 176.66,
  "homo_lumo_gap_ha": 0.3765,
  "energy_ha": -874.2426,
  "smiles": "N#C[C@@H]1[C@H]2C=C[C@H](C2)S1(=O)=O",
  "total_charge": 0,
  "largest_force_ev_per_a": 5.80,
  "e_homo_ev": -9.8,
  "lumo_ev": 0.43
}



Entry 4:
{
  "formula": "C42H31BrN2O4PtSi",
  "method": "ωB97M-V/def2-TZVPD",
└──

Hang onto your hat...take that TIME OUT...
Look in the mirror and tell (out loud..we believe what we hear)
the would be naysayer "it" doesn't REALLY understand things
NOR does "it"really KNOW you all that well...

Exhale the neggies out ,Breath in deep rich FREE now is the time air.
Give yourself FREEDOM....freedom to BE,to DO, to GROW

( while not a star trek fan I love Spock's line...LIVE LONG & PROSPER)
What is it that you need to LIVE LONG & (really)PROSPER (not just $$) ?

Watch for some upcoming posts either here or at my farmfunnies
I will be sharing a number of creative ideas about things to do...

Perhaps you already know what would allow you freedom to live long & prosper
GREAT...then if not why not?

2010 ready or not...here we come...I'm ready...are you?
p.s. if you "fail" no biggie...your hope won't die..
It can't unless you let it...we get to choose.
There is an abundance of true life examples all around us.
People demonstrating how to thrive,when by all appearaces they "should"
up and "fade" away...
CHOOSE to aim for the moon/stars...if you fall short ..why just dust off
and "shoot" again..starting TODAY.
Never give up,never surrender,never say die...
why? because I know you can do "this", I BELIVE in you....
(besides if you sit "still" and you don't take that step,pull that bow string back do that?
you'll not budge very far...will you?
Then next year...same time, same place ,same ? is that what you REALLY want?
extra p.s. do you need a lil' help?
e-mail me at betty@bettyframesuccess4u.com to set up 1 free 10 min phone consultation
(I know...I NEED to figure out some of this computer "stuff" ...why because I love YA..
and BECAUSE I have some great systems to do so
(thanks to Ann, Alica &Mike :-) ... )
and yep my blogs are not that "polished" , why?
because these were originally set up for friends/family(especially grandkids) and fun..
I still love to do them...
However, they've grown ahead of my computer skills... :-) sigh... yay....